Assignment.
Duplicate the rows underneath without additions.

Excerpt.
/*
No. 1
The following is a DFT calculation (ωB97M-V with the def2-TZVPD basis set) of a structure of composition C33H57N3O5PbSi in a non-equilibrium geometry.

Properties
charge	0
gap between HOMO and LUMO	6.024	eV
2S+1	1

Element x y z (Å)
1 O 0.399 -2.732 -2.789
2 O -1.037 -2.007 -4.524
3 C 1.718 -2.739 -3.456
4 C 2.743 -3.389 -2.558
5 H 1.950 -1.676 -3.656
6 H 1.590 -3.290 -4.406
7 H 2.855 -2.844 -1.609
8 H 3.700 -3.354 -3.092
9 H 2.498 -4.440 -2.356
10 C -0.258 -4.064 -2.678
11 C -0.213 -4.922 -3.923
12 H -1.298 -3.839 -2.375
13 H 0.277 -4.541 -1.842
14 H -0.616 -4.442 -4.828
15 H -0.844 -5.802 -3.724
16 H 0.797 -5.305 -4.118
17 C -2.502 -1.884 -4.203
18 C -0.457 -1.387 -5.755
19 C -3.231 -3.105 -4.708
20 H -2.845 -0.940 -4.654
21 H -2.520 -1.824 -3.105
22 H -3.134 -3.221 -5.797
23 H -4.293 -2.979 -4.463
24 H -2.871 -4.018 -4.208
25 C -0.908 -2.162 -6.972
26 H 0.627 -1.463 -5.603
27 H -0.764 -0.329 -5.765
28 H -0.721 -3.244 -6.868
29 H -0.324 -1.802 -7.830
30 H -1.972 -1.986 -7.179
31 H -0.391 -2.099 -3.652
32 N 1.754 1.148 0.810
33 C 1.493 2.352 1.313
34 C 0.300 3.119 1.098
35 C -1.014 2.771 0.718
36 C 2.668 3.043 1.963
37 H 3.454 3.158 1.190
38 H 3.051 2.432 2.799
39 H 2.322 4.018 2.318
40 C -2.038 3.868 0.520
41 H -2.835 3.747 1.271
42 H -2.478 3.777 -0.489
43 H -1.559 4.845 0.637
44 N -1.473 1.528 0.506
45 C 2.827 0.331 1.233
46 C 3.844 0.203 0.271
47 C 3.753 0.932 -1.032
48 C 4.989 -0.489 0.606
49 H 5.775 -0.502 -0.140
50 C 5.135 -1.109 1.844
51 H 6.035 -1.638 2.080
52 C 4.127 -1.038 2.789
53 H 4.227 -1.487 3.795
54 C 3.001 -0.307 2.501
55 C 2.100 -0.167 3.631
56 C -2.744 1.086 0.979
57 C -3.781 0.839 0.051
58 C -3.648 1.183 -1.398
59 C -5.006 0.387 0.542
60 H -5.821 0.266 -0.149
61 C -5.188 0.098 1.897
62 H -6.136 -0.256 2.277
63 C -4.152 0.270 2.801
64 H -4.238 0.093 3.876
65 C -2.966 0.845 2.369
66 C -1.917 1.165 3.376
67 Pb -0.177 -0.472 0.050
68 H 3.745 0.204 -1.851
69 H 4.655 1.543 -1.153
70 H 2.882 1.590 -1.136
71 H 1.629 0.799 3.674
72 H 2.470 -0.301 4.655
73 H 1.479 -1.083 3.595
74 H -4.273 0.502 -1.985
75 H -2.621 1.118 -1.771
76 H -4.018 2.201 -1.604
77 H -1.011 0.791 2.888
78 H -2.197 0.662 4.347
79 H -1.646 2.255 3.531
80 H 0.466 4.193 1.237
81 C 0.309 0.620 -2.072
82 Si 0.415 2.274 -2.931
83 H 1.247 0.110 -1.851
84 H -0.600 0.045 -2.210
85 C 1.700 2.038 -4.272
86 C 1.011 3.728 -1.917
87 C -1.277 2.717 -3.596
88 H -1.778 1.851 -4.042
89 H -1.117 3.474 -4.372
90 H -1.912 3.149 -2.815
91 H 2.592 1.549 -3.862
92 H 1.960 3.040 -4.630
93 H 1.286 1.432 -5.084
94 H 1.841 3.485 -1.248
95 H 0.200 4.158 -1.325
96 H 1.360 4.472 -2.641
97 O -0.895 -1.546 3.889
98 N -0.342 -0.507 3.673
99 O -0.080 0.451 4.520
100 O 0.162 0.045 2.324

No. 2
The following is a DFT calculation (ωB97M-V with the def2-TZVPD basis set) of a structure of composition C32H33N3NiP2S2 in a non-equilibrium geometry.

Properties
charge	0
gap between HOMO and LUMO (alpha / beta)	6.145 / 6.957	eV
2S+1	3

Element x y z (Å)
1 Ni 0.206 0.952 -1.064
2 S 2.387 0.241 -0.872
3 P 1.666 -0.256 1.106
4 C 0.131 0.085 0.643
5 P -1.584 -0.088 0.865
6 S -2.061 0.709 -1.060
7 C -2.059 0.879 2.306
8 C -1.482 0.703 3.610
9 C -1.901 1.523 4.648
10 C -3.017 2.435 4.510
11 C -3.647 2.415 3.279
12 C -3.178 1.759 2.184
13 C -2.125 -1.767 0.975
14 C -1.445 -2.822 0.385
15 C -1.925 -4.112 0.340
16 C -3.282 -4.292 0.738
17 C -4.024 -3.227 1.181
18 C -3.478 -1.955 1.249
19 C 2.048 -1.957 1.469
20 C 1.326 -2.646 2.431
21 C 1.577 -4.007 2.586
22 C 2.644 -4.611 1.960
23 C 3.498 -3.833 1.200
24 C 3.075 -2.570 0.770
25 C 2.346 0.734 2.453
26 C 1.861 1.996 2.896
27 C 2.450 2.679 3.945
28 C 3.502 2.133 4.633
29 C 3.943 0.884 4.336
30 C 3.327 0.164 3.283
31 H -0.640 -0.045 3.679
32 H -1.335 1.504 5.561
33 H -3.344 3.025 5.381
34 H -4.513 3.101 3.184
35 H -3.668 1.930 1.232
36 H -0.478 -2.669 -0.140
37 H -1.312 -4.945 -0.028
38 H -3.737 -5.285 0.635
39 H -5.075 -3.364 1.459
40 H -4.139 -1.111 1.586
41 H 0.681 -2.082 3.111
42 H 1.012 -4.538 3.319
43 H 2.797 -5.677 2.047
*/

Here it is.
No. 1
The following is a DFT calculation (ωB97M-V with the def2-TZVPD basis set) of a structure of composition C33H57N3O5PbSi in a non-equilibrium geometry.

Properties
charge	0
gap between HOMO and LUMO	6.024	eV
2S+1	1

Element x y z (Å)
1 O 0.399 -2.732 -2.789
2 O -1.037 -2.007 -4.524
3 C 1.718 -2.739 -3.456
4 C 2.743 -3.389 -2.558
5 H 1.950 -1.676 -3.656
6 H 1.590 -3.290 -4.406
7 H 2.855 -2.844 -1.609
8 H 3.700 -3.354 -3.092
9 H 2.498 -4.440 -2.356
10 C -0.258 -4.064 -2.678
11 C -0.213 -4.922 -3.923
12 H -1.298 -3.839 -2.375
13 H 0.277 -4.541 -1.842
14 H -0.616 -4.442 -4.828
15 H -0.844 -5.802 -3.724
16 H 0.797 -5.305 -4.118
17 C -2.502 -1.884 -4.203
18 C -0.457 -1.387 -5.755
19 C -3.231 -3.105 -4.708
20 H -2.845 -0.940 -4.654
21 H -2.520 -1.824 -3.105
22 H -3.134 -3.221 -5.797
23 H -4.293 -2.979 -4.463
24 H -2.871 -4.018 -4.208
25 C -0.908 -2.162 -6.972
26 H 0.627 -1.463 -5.603
27 H -0.764 -0.329 -5.765
28 H -0.721 -3.244 -6.868
29 H -0.324 -1.802 -7.830
30 H -1.972 -1.986 -7.179
31 H -0.391 -2.099 -3.652
32 N 1.754 1.148 0.810
33 C 1.493 2.352 1.313
34 C 0.300 3.119 1.098
35 C -1.014 2.771 0.718
36 C 2.668 3.043 1.963
37 H 3.454 3.158 1.190
38 H 3.051 2.432 2.799
39 H 2.322 4.018 2.318
40 C -2.038 3.868 0.520
41 H -2.835 3.747 1.271
42 H -2.478 3.777 -0.489
43 H -1.559 4.845 0.637
44 N -1.473 1.528 0.506
45 C 2.827 0.331 1.233
46 C 3.844 0.203 0.271
47 C 3.753 0.932 -1.032
48 C 4.989 -0.489 0.606
49 H 5.775 -0.502 -0.140
50 C 5.135 -1.109 1.844
51 H 6.035 -1.638 2.080
52 C 4.127 -1.038 2.789
53 H 4.227 -1.487 3.795
54 C 3.001 -0.307 2.501
55 C 2.100 -0.167 3.631
56 C -2.744 1.086 0.979
57 C -3.781 0.839 0.051
58 C -3.648 1.183 -1.398
59 C -5.006 0.387 0.542
60 H -5.821 0.266 -0.149
61 C -5.188 0.098 1.897
62 H -6.136 -0.256 2.277
63 C -4.152 0.270 2.801
64 H -4.238 0.093 3.876
65 C -2.966 0.845 2.369
66 C -1.917 1.165 3.376
67 Pb -0.177 -0.472 0.050
68 H 3.745 0.204 -1.851
69 H 4.655 1.543 -1.153
70 H 2.882 1.590 -1.136
71 H 1.629 0.799 3.674
72 H 2.470 -0.301 4.655
73 H 1.479 -1.083 3.595
74 H -4.273 0.502 -1.985
75 H -2.621 1.118 -1.771
76 H -4.018 2.201 -1.604
77 H -1.011 0.791 2.888
78 H -2.197 0.662 4.347
79 H -1.646 2.255 3.531
80 H 0.466 4.193 1.237
81 C 0.309 0.620 -2.072
82 Si 0.415 2.274 -2.931
83 H 1.247 0.110 -1.851
84 H -0.600 0.045 -2.210
85 C 1.700 2.038 -4.272
86 C 1.011 3.728 -1.917
87 C -1.277 2.717 -3.596
88 H -1.778 1.851 -4.042
89 H -1.117 3.474 -4.372
90 H -1.912 3.149 -2.815
91 H 2.592 1.549 -3.862
92 H 1.960 3.040 -4.630
93 H 1.286 1.432 -5.084
94 H 1.841 3.485 -1.248
95 H 0.200 4.158 -1.325
96 H 1.360 4.472 -2.641
97 O -0.895 -1.546 3.889
98 N -0.342 -0.507 3.673
99 O -0.080 0.451 4.520
100 O 0.162 0.045 2.324

No. 2
The following is a DFT calculation (ωB97M-V with the def2-TZVPD basis set) of a structure of composition C32H33N3NiP2S2 in a non-equilibrium geometry.

Properties
charge	0
gap between HOMO and LUMO (alpha / beta)	6.145 / 6.957	eV
2S+1	3

Element x y z (Å)
1 Ni 0.206 0.952 -1.064
2 S 2.387 0.241 -0.872
3 P 1.666 -0.256 1.106
4 C 0.131 0.085 0.643
5 P -1.584 -0.088 0.865
6 S -2.061 0.709 -1.060
7 C -2.059 0.879 2.306
8 C -1.482 0.703 3.610
9 C -1.901 1.523 4.648
10 C -3.017 2.435 4.510
11 C -3.647 2.415 3.279
12 C -3.178 1.759 2.184
13 C -2.125 -1.767 0.975
14 C -1.445 -2.822 0.385
15 C -1.925 -4.112 0.340
16 C -3.282 -4.292 0.738
17 C -4.024 -3.227 1.181
18 C -3.478 -1.955 1.249
19 C 2.048 -1.957 1.469
20 C 1.326 -2.646 2.431
21 C 1.577 -4.007 2.586
22 C 2.644 -4.611 1.960
23 C 3.498 -3.833 1.200
24 C 3.075 -2.570 0.770
25 C 2.346 0.734 2.453
26 C 1.861 1.996 2.896
27 C 2.450 2.679 3.945
28 C 3.502 2.133 4.633
29 C 3.943 0.884 4.336
30 C 3.327 0.164 3.283
31 H -0.640 -0.045 3.679
32 H -1.335 1.504 5.561
33 H -3.344 3.025 5.381
34 H -4.513 3.101 3.184
35 H -3.668 1.930 1.232
36 H -0.478 -2.669 -0.140
37 H -1.312 -4.945 -0.028
38 H -3.737 -5.285 0.635
39 H -5.075 -3.364 1.459
40 H -4.139 -1.111 1.586
41 H 0.681 -2.082 3.111
42 H 1.012 -4.538 3.319
43 H 2.797 -5.677 2.047